# File
No. 1
Starting from a structure optimized by DFT (GGA-PBE), the X-ray powder pattern of NbH2Br6 was computed for Cu Kα (λ = 1.5418 Å).

Most intense lines, 15 to 90 degrees two-theta, in order of falling intensity:
2theta	d (Å)	Rel. int.
29.19	3.060	100
25.85	3.447	49
32.42	2.762	40
23.44	3.796	34
40.37	2.234	28
37.53	2.397	21

Crystal structure
abc: 10.1315 10.1315 6.3369
angles: 96.25 96.25 81.57
Element x y z (fractional)
1 Nb 0.0762 0.9238 0.7500
2 Nb 0.9238 0.0762 0.2500
3 H 0.3502 0.3938 0.2286
4 H 0.3938 0.3502 0.7286
5 H 0.6062 0.6498 0.2714
6 H 0.6498 0.6062 0.7714
7 Br 0.0257 0.1741 0.6272
8 Br 0.0995 0.6966 0.8718
9 Br 0.1741 0.0257 0.1272
10 Br 0.2813 0.4600 0.4096
11 Br 0.3034 0.9005 0.6282
12 Br 0.4600 0.2813 0.9096
13 Br 0.5400 0.7187 0.0904
14 Br 0.6966 0.0995 0.3718
15 Br 0.7187 0.5400 0.5904
16 Br 0.8259 0.9743 0.8728
17 Br 0.9005 0.3034 0.1282
18 Br 0.9743 0.8259 0.3728



No. 2
Starting from a structure optimized by DFT (GGA-PBE), the X-ray powder pattern of NdH2Br4 was computed for Cu Kα (λ = 1.5418 Å).

Most intense lines, 15 to 90 degrees two-theta, in order of falling intensity:
2theta	d (Å)	Rel. int.
32.17	2.783	100
39.82	2.264	61
29.96	2.982	51
28.37	3.146	22
23.21	3.833	22
37.81	2.380	21

Crystal structure
abc: 3.9548 15.5697 5.9648
angles: 90.00 90.00 90.00
Element x y z (fractional)
1 Nd 0.0000 0.0000 0.0000
2 Nd 0.5000 0.5000 0.0000
3 H 0.0000 0.3957 0.5000
4 H 0.0000 0.6043 0.5000
5 H 0.5000 0.1043 0.5000
6 H 0.5000 0.8957 0.5000
7 Br 0.0000 0.1076 0.5000
8 Br 0.0000 0.3672 0.0000
9 Br 0.0000 0.6328 0.0000
10 Br 0.0000 0.8924 0.5000
11 Br 0.5000 0.1328 0.0000
12 Br 0.5000 0.3924 0.5000
13 Br 0.5000 0.6076 0.5000
14 Br 0.5000 0.8672 0.0000



No. 3
Starting from a structure optimized by DFT (GGA-PBE), the X-ray powder pattern of NiH2Br6 was computed for Cu Kα (λ = 1.5418 Å).

Most intense lines, 15 to 90 degrees two-theta, in order of falling intensity:
2theta	d (Å)	Rel. int.
26.91	3.313	100
17.97	4.935	44
32.38	2.765	35
23.77	3.743	28
32.04	2.794	23
39.85	2.262	20

Crystal structure
abc: 9.0648 9.0648 9.8562
angles: 115.70 115.70 76.10
Element x y z (fractional)
1 Ni 0.1483 0.8517 0.7500
2 Ni 0.8517 0.1483 0.2500
3 H 0.2505 0.4345 0.6278
4 H 0.4345 0.2505 0.1278
5 H 0.5655 0.7495 0.8722
6 H 0.7495 0.5655 0.3722
7 Br 0.0648 0.0916 0.4712
8 Br 0.0916 0.0648 0.9712
9 Br 0.1172 0.6170 0.7707
10 Br 0.2954 0.3383 0.0338
11 Br 0.3383 0.2954 0.5338
12 Br 0.3830 0.8828 0.7293
13 Br 0.6170 0.1172 0.2707
14 Br 0.6617 0.7046 0.4662
15 Br 0.7046 0.6617 0.9662
16 Br 0.8828 0.3830 0.2293
17 Br 0.9084 0.9352 0.0288
18 Br 0.9352 0.9084 0.5288



No. 4
Starting from a structure optimized by DFT (GGA-PBE), the X-ray powder pattern of NiHBr was computed for Cu Kα (λ = 1.5418 Å).

Most intense lines, 15 to 90 degrees two-theta, in order of falling intensity:
2theta	d (Å)	Rel. int.
26.16	3.406	100
29.02	3.077	67
53.83	1.703	42
44.29	2.045	38
37.70	2.386	18
45.85	1.979	17

Crystal structure
abc: 5.0875 6.1540 6.8768
angles: 90.00 90.00 90.00
Element x y z (fractional)
1 Ni 0.2500 0.2500 0.0000
2 Ni 0.2500 0.7500 0.0000
3 Ni 0.7500 0.2500 0.0000
4 Ni 0.7500 0.7500 0.0000
5 H 0.0000 0.2500 0.1389
6 H 0.0000 0.7500 0.8611
7 H 0.5000 0.2500 0.8611
8 H 0.5000 0.7500 0.1389
9 Br 0.0000 0.2500 0.7234
10 Br 0.0000 0.7500 0.2766
11 Br 0.5000 0.2500 0.2766
12 Br 0.5000 0.7500 0.7234



No. 5
Starting from a structure optimized by DFT (GGA-PBE), the X-ray powder pattern of NpHBr3 was computed for Cu Kα (λ = 1.5418 Å).

Most intense lines, 15 to 90 degrees two-theta, in order of falling intensity:
2theta	d (Å)	Rel. int.
17.99	4.930	100
38.79	2.321	55
39.36	2.289	50
22.08	4.026	37
37.47	2.400	35
40.35	2.235	34

Crystal structure
abc: 7.4921 6.5466 14.1003
angles: 90.00 90.64 90.00
Element x y z (fractional)
1 Np 0.0844 0.0028 0.1454
2 Np 0.0844 0.9972 0.6454
3 Np 0.9156 0.0028 0.3546
4 Np 0.9156 0.9972 0.8546
5 H 0.1066 0.1539 0.7745
6 H 0.1066 0.8461 0.2745
7 H 0.8934 0.1539 0.7255
8 H 0.8934 0.8461 0.2255

# What to do
Restate the listing earlier on from the line with "0.0000 0.3672" to the end with every line break kept.

# Solution
8 Br 0.0000 0.3672 0.0000
9 Br 0.0000 0.6328 0.0000
10 Br 0.0000 0.8924 0.5000
11 Br 0.5000 0.1328 0.0000
12 Br 0.5000 0.3924 0.5000
13 Br 0.5000 0.6076 0.5000
14 Br 0.5000 0.8672 0.0000



No. 3
Starting from a structure optimized by DFT (GGA-PBE), the X-ray powder pattern of NiH2Br6 was computed for Cu Kα (λ = 1.5418 Å).

Most intense lines, 15 to 90 degrees two-theta, in order of falling intensity:
2theta	d (Å)	Rel. int.
26.91	3.313	100
17.97	4.935	44
32.38	2.765	35
23.77	3.743	28
32.04	2.794	23
39.85	2.262	20

Crystal structure
abc: 9.0648 9.0648 9.8562
angles: 115.70 115.70 76.10
Element x y z (fractional)
1 Ni 0.1483 0.8517 0.7500
2 Ni 0.8517 0.1483 0.2500
3 H 0.2505 0.4345 0.6278
4 H 0.4345 0.2505 0.1278
5 H 0.5655 0.7495 0.8722
6 H 0.7495 0.5655 0.3722
7 Br 0.0648 0.0916 0.4712
8 Br 0.0916 0.0648 0.9712
9 Br 0.1172 0.6170 0.7707
10 Br 0.2954 0.3383 0.0338
11 Br 0.3383 0.2954 0.5338
12 Br 0.3830 0.8828 0.7293
13 Br 0.6170 0.1172 0.2707
14 Br 0.6617 0.7046 0.4662
15 Br 0.7046 0.6617 0.9662
16 Br 0.8828 0.3830 0.2293
17 Br 0.9084 0.9352 0.0288
18 Br 0.9352 0.9084 0.5288



No. 4
Starting from a structure optimized by DFT (GGA-PBE), the X-ray powder pattern of NiHBr was computed for Cu Kα (λ = 1.5418 Å).

Most intense lines, 15 to 90 degrees two-theta, in order of falling intensity:
2theta	d (Å)	Rel. int.
26.16	3.406	100
29.02	3.077	67
53.83	1.703	42
44.29	2.045	38
37.70	2.386	18
45.85	1.979	17

Crystal structure
abc: 5.0875 6.1540 6.8768
angles: 90.00 90.00 90.00
Element x y z (fractional)
1 Ni 0.2500 0.2500 0.0000
2 Ni 0.2500 0.7500 0.0000
3 Ni 0.7500 0.2500 0.0000
4 Ni 0.7500 0.7500 0.0000
5 H 0.0000 0.2500 0.1389
6 H 0.0000 0.7500 0.8611
7 H 0.5000 0.2500 0.8611
8 H 0.5000 0.7500 0.1389
9 Br 0.0000 0.2500 0.7234
10 Br 0.0000 0.7500 0.2766
11 Br 0.5000 0.2500 0.2766
12 Br 0.5000 0.7500 0.7234



No. 5
Starting from a structure optimized by DFT (GGA-PBE), the X-ray powder pattern of NpHBr3 was computed for Cu Kα (λ = 1.5418 Å).

Most intense lines, 15 to 90 degrees two-theta, in order of falling intensity:
2theta	d (Å)	Rel. int.
17.99	4.930	100
38.79	2.321	55
39.36	2.289	50
22.08	4.026	37
37.47	2.400	35
40.35	2.235	34

Crystal structure
abc: 7.4921 6.5466 14.1003
angles: 90.00 90.64 90.00
Element x y z (fractional)
1 Np 0.0844 0.0028 0.1454
2 Np 0.0844 0.9972 0.6454
3 Np 0.9156 0.0028 0.3546
4 Np 0.9156 0.9972 0.8546
5 H 0.1066 0.1539 0.7745
6 H 0.1066 0.8461 0.2745
7 H 0.8934 0.1539 0.7255
8 H 0.8934 0.8461 0.2255